Lies, Damned Lies and Programmers

I recently came across a really nice set – not directly related – of articles dealing with various profound errors that programmers and system designers fall into when dealing with names and addresses.

The TL;DR if you don’t read these: names and addresses are hard and most things you believe about them are wrong.

Let’s start with Falsehoods Programmers Believe About Names. Without even trying the author lists 40 things we believe about names that are just plain wrong.

In a similar vein, Falsehoods programmers believe about addresses, which particularly speaks to me. One of the fundamental errors about addresses is to think they identify a location. This is incorrect. An address might identify a location, but it is fundamentally a description which instructs a postman how to deliver a letter or parcel. Substitute pizza operative, Amazon driver or writ server as desired.

Even without getting into the weirdness around the actual shape of the planet, Falsehoods programmers believe about geography touches on place names.

........
# SrGa2TeO8
Calculated powder XRD pattern, Cu Kα (weighted mean of Kα1 and Kα2). Input: DFT lattice parameters and positions (PBE).
Peak positions follow from Bragg's law for the DFT cell and can differ from measured ones.

Structural model:
Unit cell a=6.8849 b=6.8849 c=6.7137 alpha=90.00 beta=90.00 gamma=90.00
Space group I-4m2 (No. 119)
Inequivalent atoms, fractional coordinates:
Sr1 0.0000 0.0000 0.0000 (multiplicity 2)
Ga1 0.0000 0.0000 0.5000 (multiplicity 2)
Ga2 0.0000 0.5000 0.2500 (multiplicity 2)
Te1 0.0000 0.5000 0.7500 (multiplicity 2)
O1 0.0000 0.2075 0.6886 (multiplicity 8)
O2 0.0000 0.3415 0.0305 (multiplicity 8)

Peak list (10 most intense, 2θ = 15–90°, sorted by position)
d = 4.807 Å, 2θ 18.46, I 13, hkl 1 0 1; d = 3.442 Å, 2θ 25.88, I 100, hkl 2 0 0; d = 2.764 Å, 2θ 32.40, I 73, hkl 1 1 2; d = 2.434 Å, 2θ 36.93, I 20, hkl 2 2 0; d = 1.827 Å, 2θ 49.93, I 64, hkl 3 1 2; d = 1.721 Å, 2θ 53.22, I 15, hkl 4 0 0; d = 1.540 Å, 2θ 60.10, I 13, hkl 4 2 0; d = 1.509 Å, 2θ 61.46, I 16, hkl 2 0 4; d = 1.461 Å, 2θ 63.69, I 20, hkl 3 3 2; d = 1.253 Å, 2θ 75.96, I 13, hkl 5 1 2

* * * * *

[1]
Theoretical XRD peak list of Na2VBAsO7 for CuKα, from a crystal structure in the Materials Project, relaxed with GGA+U.

Most intense lines, 10 to 90 degrees two-theta, most intense first:
d 3.705, I 100.0; d 3.808, I 90.1; d 2.797, I 79.8; d 3.291, I 60.1; d 2.691, I 57.6; d 5.383, I 46.6; d 2.739, I 38.3; d 3.105, I 36.7

Structural model:
Cell lengths 5.6018, 6.5827, 9.3708 Å; angles 90.00, 93.67, 90.00 degrees
Sites, in units of the cell vectors:
Na: 0.2362 0.0086 0.2974
Na: 0.2362 0.4914 0.2974
Na: 0.7638 0.5086 0.7026
Na: 0.7638 0.9914 0.7026
V: 0.2181 0.7500 0.8308
V: 0.7819 0.2500 0.1692
B: 0.2766 0.7500 0.5787
B: 0.7234 0.2500 0.4213
As: 0.2781 0.2500 0.9423
As: 0.7219 0.7500 0.0577
O: 0.0538 0.7500 0.6463
O: 0.1278 0.2500 0.0948
O: 0.1940 0.0449 0.8355
O: 0.1940 0.4551 0.8355
O: 0.3109 0.7500 0.4421
O: 0.4159 0.7500 0.0232
O: 0.4573 0.7500 0.6961
O: 0.5427 0.2500 0.3039
O: 0.5841 0.2500 0.9768
O: 0.6891 0.2500 0.5579
O: 0.8060 0.5449 0.1645
O: 0.8060 0.9551 0.1645
O: 0.8722 0.7500 0.9052
O: 0.9462 0.2500 0.3537

[2]
Theoretical XRD peak list of Na6V2B4AsO16 for CuKα, from a crystal structure in the Materials Project, relaxed with GGA+U.

Most intense lines, 10 to 90 degrees two-theta, most intense first:
d 4.254, I 100.0; d 2.715, I 81.7; d 2.494, I 53.4; d 4.988, I 31.0; d 1.629, I 30.9; d 1.976, I 18.4; d 4.073, I 17.2; d 1.364, I 16.5

Structural model:
Cell lengths 9.9767, 9.9767, 9.9767 Å; angles 60.00, 60.00, 60.00 degrees
Sites, in units of the cell vectors:
Na: 0.0875 0.0875 0.6625
Na: 0.0875 0.6625 0.0875
Na: 0.0875 0.6625 0.6625
Na: 0.3375 0.3375 0.9125
Na: 0.3375 0.9125 0.3375
Na: 0.3375 0.9125 0.9125
Na: 0.6625 0.0875 0.0875
Na: 0.6625 0.0875 0.6625
Na: 0.6625 0.6625 0.0875
Na: 0.9125 0.3375 0.3375
Na: 0.9125 0.3375 0.9125
Na: 0.9125 0.9125 0.3375
V: 0.0000 0.5000 0.5000
V: 0.5000 0.0000 0.5000
V: 0.5000 0.5000 0.0000
........
== End of the materials data ==

And as a bonus: Falsehoods programmers believe about time – computers prove to be pretty bad clocks, and working out a calendar is very complicated.

A Demonstration NiFi Cluster

In order to explore NiFi clustering, and NiFi site-to-site protocol, I decided that I could use a minimal installation – as I’m really just exploring the behaviour of NiFi itself, I don’t need to have any Hadoop environment running as well. To this end, my thought was that I could get the flexibility to just play around that I need by building a minimal Centos/7 virtual machine, running in VirtualBox. The plan was to have little more than a Java 8 SDK and NiFi installed on this, and then I would clone copies of it which would be modified to be independent nodes in a cluster. At the time of writing this is still in progress, but I thought it was worth capturing some information about how I proceeded to get my VM prepared.

There are a handful of requirements for this VM:

  1. It needs a static IP (so that I can assign different static IPs to the clones, later)
  2. It needs to be able to reach out to the broader internet, in order to pull down OS updates and similar
  3. I need to be able to ssh to it from my desktop
  4. Different instances of the VM need to be able to reach each other easily
  5. A Java 8 JVM is needed
Continue reading “A Demonstration NiFi Cluster”


I have, once again, felt stuck, spinning my wheels in the mud. There is an unpleasant, and possibly vicious, cycle at play here in my head: my planning falls apart, I feel like I am not getting anything done, my anxiety spikes, I cannot plan cogently. Repeat and repeat and repeat like some damned overwrought Philip Glass piece. I am trying to look at this dispassionately, because if I can understand how this happens, maybe I can head it off next time.

There are a few factors – health, political chaos, and too many months of uncertainty at work. Having a work and personal phone, and a work and personal computer, and disconnected accounts across both is really not helping either – I keep dropping things between the various calendars and todo lists, which has been exacerbated in the last few months by traveling. You would think that separating work and non-work would be easy. I can partition off my 37.5 hours and leave it at work, can’t I? Well, no. Because I’m trying to juggle calendars and waking hours and mental effort between work and non-work, and I cannot just turn off my brain at the end of the working day. Increasingly I feel like I would do very well if I cloned myself at least twice, so that different instances of myself could live full and uncomplicated lives. And I really resent the 3+ hours tied up each day in commuting, even while I know other people are doing the same or worse.

Continue reading “List-o-mania”

Two-factor in the middle of the night

Wherever possible I have been enabling two-factor authentication and similar protections. Not that I am paranoid, it’s just that I am paranoid. One of these I have had in play for a long time is protection on my Google account. So it’s somewhat comforting to get an unexpected SMS message from Google in the middle of the night sending me an unexpected authorisation code. Because it means whoever just tried to access my account could not.

Lock your doors people. A simple username and password combination, particularly on anything critical, is effectively useless.

Henry VI, Part 2, Act 4, Scene 2

The first thing we do, let’s kill all the lawyers.

I’ve heard back from my contact at Blue Point regarding the defunct electric car chargers. On 4th of August I was assured by Berkeley’s “Head of Estates” that matters were going to be soon resolved, and that a quick trip through Legal would see it all sorted. The ball is still in Berkeley’s court, and appears to have been left to lie. Because Brexit. Or Trump. Or the wrong sort of rain. Or something.

It is now 280 days since we first lodged a formal report of these units being dead, and I know they were dead for at least 6 months prior to that. That is 9 months and 6 days. Had the date of our first formal contact been the date of an imagined conception, then mother and child would now be safely at home and posting cute pictures to Facebook. I do hope that these units can be repaired before this imagined child is taking it’s first steps, or indeed entering school.

I am left with the inescapable and pervasive sense that Berkeley group would prefer to appear to be taking action on community facilities and environmentally sound improvements rather than actually taking action.

=====
For Sr7ZrN6, a DFT-relaxed cell (PBE, Alexandria) gives the theoretical X-ray powder pattern in this record (Cu Kα (weighted mean of Kα1 and Kα2)).

Cell lengths 12.393, 6.817, 13.860 Å; angles 90.00, 90.00, 90.00 degrees
Space group Pbcn (No. 60)
Symmetry-distinct sites (fractional):
Sr  0.000  0.015  0.250 [4 per cell]
Sr  0.042  0.224  0.505 [8 per cell]
Sr  0.222  0.381  0.120 [8 per cell]
Sr  0.226  0.357  0.872 [8 per cell]
Zr  0.000  0.485  0.750 [4 per cell]
N  0.096  0.326  0.334 [8 per cell]
N  0.112  0.296  0.682 [8 per cell]
N  0.158  0.106  0.998 [8 per cell]

Peak list (6 most intense, 10° ≤ 2θ ≤ 80°, in order of rising 2θ)
2theta	d [Å]	Rel. int.	h k l
27.90	3.198	28	1 2 1
28.82	3.098	29	4 0 0
29.20	3.059	24	0 2 2
29.54	3.024	100	2 0 4
32.39	2.764	31	4 1 1
32.65	2.743	39	2 2 2

~~~~~

1.
This entry pairs a crystal structure of Mn6O5F7 with its calculated X-ray powder pattern. Radiation: a wavelength of 1.5418 Å. Structure: the GGA+U geometry in the Materials Project.
Peak positions follow from Bragg's law for the DFT cell and can differ from measured ones.

Atomic structure:
```
data_Mn6O5F7
_cell_length_a 4.7285
_cell_length_b 5.7074
_cell_length_c 7.9060
_cell_angle_alpha 86.20
_cell_angle_beta 88.86
_cell_angle_gamma 88.69
_space_group_name_H-M_alt 'P 1'
_space_group_IT_number 1
loop_
_space_group_symop_operation_xyz
'x,y,z'
loop_
_atom_site_label
_atom_site_fract_x
_atom_site_fract_y
_atom_site_fract_z
Mn1 0.0000 0.0000 0.0000
Mn2 0.0019 0.6664 0.3308
Mn3 0.4554 0.1492 0.3229
Mn4 0.4730 0.4818 0.0038
Mn5 0.4848 0.8127 0.6402
Mn6 0.9427 0.3421 0.6752
O1 0.1730 0.6971 0.0989
O2 0.2826 0.2007 0.1100
O3 0.2892 0.8668 0.4232
O4 0.7801 0.2814 0.9040
O5 0.7918 0.6353 0.5543
F1 0.1729 0.3572 0.4494
F2 0.1838 0.0224 0.7507
F3 0.2868 0.5226 0.7630
F4 0.6676 0.1336 0.5423
F5 0.6706 0.7838 0.8867
F6 0.6803 0.4450 0.2473
F7 0.7789 0.9542 0.2256
```

Largest 8 diffraction maxima, sorted by position, 2θ = 10–90°:
index, Position (°2θ), d_spacing, I_rel
1 1 1, 26.16, 3.407, 100
-1 1 1, 26.95, 3.308, 92
0 2 -1, 34.16, 2.625, 76
1 1 -2, 34.28, 2.616, 24
1 3 0, 51.51, 1.774, 31
1 -3 0, 52.31, 1.749, 27
2 -2 1, 52.51, 1.743, 27
0 2 5, 65.74, 1.420, 21

2.
This entry pairs a crystal structure of Li9Mn2Co5O16 with its calculated X-ray powder pattern. Radiation: a wavelength of 1.5418 Å. Structure: the GGA+U geometry in the Materials Project.
Peak positions follow from Bragg's law for the DFT cell and can differ from measured ones.

Atomic structure:
```
data_Li9Mn2Co5O16
_cell_length_a 3.0280
_cell_length_b 5.1404
_cell_length_c 19.5618
_cell_angle_alpha 91.21
_cell_angle_beta 93.16
_cell_angle_gamma 104.81
_space_group_name_H-M_alt 'P 1'
_space_group_IT_number 1
loop_
_space_group_symop_operation_xyz
'x,y,z'
loop_
_atom_site_label
_atom_site_fract_x
_atom_site_fract_y
_atom_site_fract_z
Li1 0.0000 0.0000 0.0000
Li2 0.0675 0.3066 0.8143
Li3 0.1389 0.6169 0.6284
Li4 0.2619 0.2461 0.2522
Li5 0.3823 0.8775 0.8778
Li6 0.5034 0.4935 0.5034
=====

Docker and Consul and DNS, oh my

**Between two parts of the piece: calculated crystals**
[1]
Structure and computed powder X-ray diffraction pattern of Pm3Er6In (DFT lattice parameters and positions (PBE); a wavelength of 1.5418 Å).

Cell lengths 12.9069, 3.5410, 14.4158 Å; angles 90.00, 108.75, 90.00 degrees
Sites, in units of the cell vectors:
Pm: 0.0093 0.2500 0.3957
Pm: 0.3775 0.2500 0.0002
Pm: 0.4663 0.2500 0.5922
Pm: 0.5337 0.7500 0.4078
Pm: 0.6225 0.7500 0.9998
Pm: 0.9907 0.7500 0.6043
Er: 0.1360 0.7500 0.0225
Er: 0.1442 0.2500 0.8105
Er: 0.2174 0.2500 0.5994
Er: 0.2503 0.7500 0.3923
Er: 0.3315 0.2500 0.2182
Er: 0.3831 0.7500 0.7894
Er: 0.6169 0.2500 0.2106
Er: 0.6685 0.7500 0.7818
Er: 0.7497 0.2500 0.6077
Er: 0.7826 0.7500 0.4006
Er: 0.8558 0.7500 0.1895
Er: 0.8640 0.2500 0.9775
In: 0.0765 0.2500 0.1930
In: 0.9235 0.7500 0.8070

Peak list (8 most intense, 10° ≤ 2θ ≤ 90°, sorted by position)
two_theta  intensity
28.83  21
31.40  20
32.01  79
32.47  100
32.79  89
33.95  32
49.59  20
51.62  20

[2]
Structure and computed powder X-ray diffraction pattern of Pm3Er2In2 (DFT lattice parameters and positions (PBE); a wavelength of 1.5418 Å).

Cell lengths 4.9775, 23.8137, 3.5091 Å; angles 90.00, 90.00, 90.00 degrees
Sites, in units of the cell vectors:
Pm: 0.0000 0.0000 0.0000
Pm: 0.0000 0.1430 0.0000
Pm: 0.0000 0.8570 0.0000
Pm: 0.5000 0.3570 0.0000
Pm: 0.5000 0.5000 0.0000
Pm: 0.5000 0.6430 0.0000
Er: 0.0000 0.2873 0.5000
Er: 0.0000 0.7127 0.5000
Er: 0.5000 0.2127 0.5000
Er: 0.5000 0.7873 0.5000
In: 0.0000 0.4286 0.5000
In: 0.0000 0.5714 0.5000
In: 0.5000 0.0714 0.5000
In: 0.5000 0.9286 0.5000

Peak list (8 most intense, 10° ≤ 2θ ≤ 90°, sorted by position)
two_theta  intensity
31.42  79
31.86  100
34.10  29
36.09  36
39.71  22
50.50  19
54.73  17
62.41  29

[3]
Structure and computed powder X-ray diffraction pattern of Pm3Er3In2 (DFT lattice parameters and positions (PBE); a wavelength of 1.5418 Å).

Cell lengths 4.8647, 4.8771, 9.8393 Å; angles 90.00, 90.00, 90.00 degrees
Sites, in units of the cell vectors:
Pm: 0.0000 0.0000 0.0000
Pm: 0.0000 0.0000 0.5000
Pm: 0.5000 0.5000 0.0000
Er: 0.5000 0.0000 0.2522
Er: 0.5000 0.0000 0.7478
Er: 0.5000 0.5000 0.5000
In: 0.0000 0.5000 0.2536
In: 0.0000 0.5000 0.7464

Peak list (8 most intense, 10° ≤ 2θ ≤ 90°, sorted by position)
two_theta  intensity
31.71  100
36.53  17
36.91  33
52.90  24
62.75  14
63.20  14
63.33  14
66.25  12

[4]
Structure and computed powder X-ray diffraction pattern of Pm5ErIn4 (DFT lattice parameters and positions (PBE); a wavelength of 1.5418 Å).

Cell lengths 3.6350, 3.6350, 22.2893 Å; angles 90.00, 90.00, 90.00 degrees
Sites, in units of the cell vectors:
Pm: 0.0000 0.0000 0.0000
Pm: 0.0000 0.0000 0.1936
Pm: 0.0000 0.0000 0.3863
Pm: 0.0000 0.0000 0.6137
Pm: 0.0000 0.0000 0.8064
Er: 0.5000 0.5000 0.5000
In: 0.5000 0.5000 0.0968
In: 0.5000 0.5000 0.2906
In: 0.5000 0.5000 0.7094
In: 0.5000 0.5000 0.9032

Peak list (8 most intense, 10° ≤ 2θ ≤ 90°, sorted by position)
two_theta  intensity
31.76  100
34.91  41
40.47  11
50.20  15
54.49  18
60.63  31
66.36  10
84.24  7
**Back to the piece**

I’m still trying to wrap my head around networking when it comes to Docker and related technologies – I think because a lot of the documentation and examples around are either not quite correct, or are subtly out of date. I’ve noticed too that a lot of the writing out there around setting up Docker and/or Consul hand waves away the trickiness of the networking. Particularly egregious is the blithe insistence on just specifying host networking for all containers, something that the Docker project itself frowns upon.

Continue reading “Docker and Consul and DNS, oh my”

SSL Made Easy

Time for a shout-out to DreamHost, who have partnered with LetsEncrypt to make using SSL with this website very, very easy. DreamHost have always aimed to make many actions against the site push-button, with sensible defaults, and clear documentation, and generating and attaching the certificate was a walk in the park.

I was a little surprised to see the certificate expiring so soon, but LetsEncrypt’s rationale is very sound: re-rolling certificates can and should be automated, and limiting the life time of a certificate automatically limits the exposure if the certificate is subverted. It is very much in line with a core idea that they have: the default for HTTP traffic should be across SSL, or in some other way encrypted.

For me, the process was as simple as pushing the buttons on the DreamHost control panel, then do a bulk find-and-replace on my site to update any http links to be https. I will probably have to chase around the interwebs to find where I’ve published the old URL, but I’m pretty sure I’ve found and updated the important ones already.


Having a little time up my sleeve, and a need to be off my feet for as much as possible… wait, did I mention that? Somewhere in the last six weeks I’ve done something undefined to my feet, which are painfully sore to walk on. I think that I managed to sprain one or more of the muscles that usually wiggle my toes, and as a result walking has felt like I’ve had stones in my shoes. Since I had a few unexpected extra days off, I elected to sit on my butt as much as possible and bang away at a little project that I’ve had hanging around for ages: PropertySource, which is a simple abstraction for finding “properties”. The code and README are there in GitHub, and there’s pointers on use from the README.

Continue reading “PropertySource-1.0”